# Assignment
Could you work out how many lines underneath have the word "Se" in them; a number is enough?

# Entries
The following is a theoretical powder XRD pattern of FeNi2OsO6. It was derived from a structure optimized by DFT (GGA+U), using Cu Ka.
Intensities are scaled so that the largest is 1000.

Atomic structure:
```
data_FeNi2OsO6
_space_group_name_H-M_alt 'P 4 m m'
_space_group_IT_number 99
_cell_length_a 5.4128
_cell_length_b 5.4128
_cell_length_c 4.5504
_cell_angle_alpha 90.00
_cell_angle_beta 90.00
_cell_angle_gamma 90.00
loop_
_space_group_symop_operation_xyz
'x,y,z'
'-y,x,z'
'-x,-y,z'
'y,-x,z'
'-x,y,z'
'y,x,z'
'x,-y,z'
'-y,-x,z'
loop_
_atom_site_label
_atom_site_fract_x
_atom_site_fract_y
_atom_site_fract_z
Fe1 0.0000 0.0000 0.0000
Ni1 0.0000 0.5000 0.3055
Os1 0.5000 0.5000 0.0031
O1 0.0000 0.0000 0.6087
O2 0.2579 0.2579 0.1461
O3 0.5000 0.5000 0.6208
```

The 6 most intense peaks (5° ≤ 2θ ≤ 70°), sorted by position:
hkl 1 0 0, 16.38 deg, 5.413 Å, intensity 401
hkl 0 0 1, 19.51 deg, 4.550 Å, intensity 616
hkl 1 1 1, 30.52 deg, 2.929 Å, intensity 1000
hkl 2 0 0, 33.10 deg, 2.706 Å, intensity 526
hkl 1 1 2, 46.43 deg, 1.956 Å, intensity 469
hkl 2 2 0, 47.51 deg, 1.914 Å, intensity 347

----------

For SrCeN2, a cell relaxed with GGA-PBE gives the theoretical powder diffractogram in this record (λ = 1.5418 Å (Cu Kα)).

Atomic structure:
```
data_SrCeN2
_space_group_name_H-M_alt 'I 41/a m d'
_space_group_IT_number 141
_cell_length_a 5.2256
_cell_length_b 5.2256
_cell_length_c 10.3062
_cell_angle_alpha 90.00
_cell_angle_beta 90.00
_cell_angle_gamma 90.00
loop_
_space_group_symop_operation_xyz
'x,y,z'
'-x,-y,-z'
'-y+1/4,x+3/4,z+1/4'
'y+1/4,-x+3/4,-z+1/4'
'-x+1/2,-y,z+1/2'
'x+1/2,y,-z+1/2'
'y+1/4,-x+1/4,z+3/4'
'-y+1/4,x+1/4,-z+3/4'
'x,-y,-z'
'-x,y,z'
'-y+1/4,-x+1/4,-z+3/4'
'y+1/4,x+1/4,z+3/4'
'-x+1/2,y,-z+1/2'
'x+1/2,-y,z+1/2'
'y+1/4,x+3/4,-z+1/4'
'-y+1/4,-x+3/4,z+1/4'
'x+1/2,y+1/2,z+1/2'
'-x+1/2,-y+1/2,-z+1/2'
'-y+3/4,x+1/4,z+3/4'
'y+3/4,-x+1/4,-z+3/4'
'-x,-y+1/2,z'
'x,y+1/2,-z'
'y+3/4,-x+3/4,z+1/4'
'-y+3/4,x+3/4,-z+1/4'
'x+1/2,-y+1/2,-z+1/2'
'-x+1/2,y+1/2,z+1/2'
'-y+3/4,-x+3/4,-z+1/4'
'y+3/4,x+3/4,z+1/4'
'-x,y+1/2,-z'
'x,-y+1/2,z'
'y+3/4,x+1/4,-z+3/4'
'-y+3/4,-x+1/4,z+3/4'
loop_
_atom_site_label
_atom_site_type_symbol
_atom_site_fract_x
_atom_site_fract_y
_atom_site_fract_z
Sr1 Sr 0.0000 0.2500 0.3750
Ce1 Ce 0.0000 0.2500 0.8750
N1 N 0.0000 0.2500 0.0955
```

Largest 10 diffraction maxima, in order of rising 2θ, 15° ≤ 2θ ≤ 90°:
(1 0 1), 19.0 deg, I = 12; (1 1 2), 29.8 deg, I = 100; (2 0 0), 34.3 deg, I = 55; (0 0 4), 34.8 deg, I = 25; (2 2 0), 49.3 deg, I = 19; (2 0 4), 49.7 deg, I = 35; (3 1 2), 58.7 deg, I = 31; (1 1 6), 59.3 deg, I = 16; (2 2 4), 61.8 deg, I = 18; (3 1 6), 80.7 deg, I = 14

----------

The following is a computed powder XRD pattern of PmGdI2O2. It was derived from a structure optimized by DFT (GGA-PBE), using Cu Kα, 1.54184 Å.
No peak broadening, texture or thermal motion is included.

Crystal structure
```
PmGdI2O2
1.0
4.0071 0.0000 0.0000
0.0000 4.0071 0.0000
0.0000 0.0000 9.2745
Pm Gd I O
1 1 2 2
Direct
0.0000 0.0000 0.0000 Pm
0.5000 0.5000 0.2450 Gd
0.0000 0.0000 0.4493 I
0.5000 0.5000 0.7946 I
0.0000 0.5000 0.1266 O
0.5000 0.0000 0.1266 O
```

The 10 most intense peaks (10 to 90 degrees two-theta), in order of falling intensity:
d (Å), intensity
3.032, 100
2.833, 43
1.672, 34
2.004, 26
1.551, 16
1.794, 15
2.448, 14
1.417, 10
1.267, 7
1.284, 7

=====

The following is a computed powder XRD pattern of Gd5Se2I3O10. It was derived from a structure optimized by DFT (GGA-PBE), using Cu Kα, 1.54184 Å.
No peak broadening, texture or thermal motion is included.

Crystal structure
```
Gd5Se2I3O10
1.0
6.2053 -2.7570 0.0000
6.2053 2.7570 0.0000
-0.6845 0.0000 10.2678
Gd Se I O
5 2 3 10
Direct
0.0000 0.0000 0.0000 Gd
0.2952 0.2952 0.0985 Gd
0.3873 0.3873 0.7776 Gd
0.6127 0.6127 0.2224 Gd
0.7048 0.7048 0.9015 Gd
0.0742 0.0742 0.6996 Se
0.9258 0.9258 0.3004 Se
0.1888 0.1888 0.3771 I
0.5000 0.5000 0.5000 I
0.8112 0.8112 0.6229 I
0.1030 0.5999 0.9432 O
0.1971 0.7193 0.1931 O
0.2080 0.2080 0.7441 O
0.2807 0.8029 0.8069 O

# Here it is
3